
The 2024 Tech Layoff Wave: A Comprehensive List of Job Cuts in the Tech Industry

_Calculated molecules that have nothing to do with the text_
=====
1.
# C29H27Br2O2PY

A molecular structure, C29H27Br2O2PY at a distorted geometry (ωB97M-V/def2-TZVPD, OMol25).

Structure (XYZ):
```
62
Properties=species:S:1:pos:R:3:lowdin_charge:R:1
Y 0.6580 -1.7210 -0.6260 1.28
C -2.1555 1.1183 -3.8483 -0.05
C -2.2111 2.2168 -2.8213 -0.27
C -2.7509 3.4568 -3.1422 -0.03
C -2.8306 4.4727 -2.2011 -0.06
C -2.3754 4.2630 -0.9086 -0.06
C -1.8380 3.0328 -0.5646 -0.09
C -1.7499 2.0171 -1.5123 -0.33
P -1.0990 0.3790 -1.0901 1.05
C -0.3509 0.5629 0.5922 -0.40
C -0.9107 -0.0642 1.7134 -0.08
C -0.3347 0.0669 2.9677 -0.05
C 0.8111 0.8306 3.1125 -0.05
C 1.3855 1.4441 2.0070 -0.03
C 0.8352 1.3195 0.7374 -0.30
C 1.4979 1.9935 -0.4325 -0.04
C -2.5539 -0.6723 -0.7810 -0.36
C -3.7383 -0.0878 -0.3206 -0.08
C -4.8308 -0.8676 0.0018 -0.07
C -4.7359 -2.2496 -0.1249 -0.06
C -3.5719 -2.8321 -0.5898 -0.04
C -2.4518 -2.0706 -0.9515 -0.33
C -1.2137 -2.7433 -1.4854 -0.31
H -2.5234 1.4676 -4.8108 0.08
H -2.7670 0.2647 -3.5446 0.08
H -1.1333 0.7576 -3.9882 0.06
H -3.1152 3.6270 -4.1477 0.12
H -3.2529 5.4294 -2.4783 0.11
H -2.4422 5.0495 -0.1691 0.11
H -1.4907 2.8640 0.4475 0.11
H -1.8221 -0.6398 1.5994 0.11
H -0.7823 -0.4219 3.8223 0.12
H 1.2721 0.9422 4.0854 0.12
H 2.2903 2.0265 2.1308 0.12
H 2.4694 2.3895 -0.1437 0.09
H 0.8901 2.8165 -0.8122 0.08
H 1.6587 1.3003 -1.2635 0.04
H -3.7996 0.9886 -0.2120 0.11
H -5.7448 -0.4070 0.3515 0.11
H -5.5831 -2.8750 0.1260 0.11
H -3.5212 -3.9084 -0.6988 0.11
H -1.1909 -2.5998 -2.5774 0.05
H -1.3139 -3.8254 -1.3450 0.04
Br 2.3844 -3.8255 -2.2675 0.71
C 2.9696 -2.4853 -3.5314 -0.95
Br 1.7837 -0.9592 -3.5032 0.68
H 2.9394 -2.9213 -4.5209 0.01
H 3.9582 -2.1552 -3.2422 0.02
O 1.4957 -2.3786 1.2130 -0.14
C 2.5302 -1.6165 1.0869 -0.56
O 2.7441 -1.0672 -0.0373 -0.13
C 3.4047 -1.3721 2.2446 -0.16
C 4.4943 -0.5152 2.1147 -0.01
C 5.2880 -0.2475 3.2167 -0.06
C 4.9937 -0.8369 4.4406 -0.06
C 3.9105 -1.6979 4.5673 -0.06
C 3.1124 -1.9677 3.4687 -0.01
H 4.7031 -0.0674 1.1523 0.12
H 6.1369 0.4164 3.1257 0.11
H 5.6158 -0.6265 5.3008 0.11
H 3.6920 -2.1578 5.5216 0.11
H 2.2611 -2.6301 3.5460 0.12
```

Properties
Net charge: +1
M in u: 687.22
HOMO level in hartree: -0.3877
Gap between HOMO and LUMO in eV: 7.65
Multiplicity: 1

=====

2.
# C29H27CsN5O4S2

A molecular structure, C29H27CsN5O4S2 at a distorted geometry (ωB97M-V/def2-TZVPD, OMol25).

Structure (XYZ):
```
68
Properties=species:S:1:pos:R:3:lowdin_charge:R:1
Cs -0.0565 0.0824 0.2741 1.32
C 0.2438 0.2834 -5.1659 -0.10
O 0.4149 1.5592 -4.5701 -0.11
C -0.6465 2.0004 -3.7893 -0.23
C -1.1699 3.2325 -4.0993 -0.05
C -2.2032 3.7896 -3.3447 -0.13
C -2.6924 3.0756 -2.2681 -0.08
C -2.1787 1.8220 -1.9363 -0.17
C -2.7249 1.0740 -0.7895 -0.25
N -2.9261 1.4620 0.4154 -0.02
N -2.7354 2.8102 0.7298 0.03
C -1.6375 3.1050 1.3543 -0.56
O -0.6793 2.3029 1.6417 -0.37
C -1.4721 4.5463 1.7454 -0.14
C -0.4200 4.9018 2.5848 -0.04
C -0.2373 6.2207 2.9746 -0.11
C -1.1020 7.2075 2.5196 -0.12
C -2.1477 6.8607 1.6725 -0.10
C -2.3323 5.5414 1.2893 -0.04
C -1.1117 1.2164 -2.6803 -0.40
=====

The year 2024 has been marked by a continuous wave of tech layoffs, with major companies like Tesla, Amazon, Google, TikTok, Snap, and Microsoft among the organizations conducting sizable job cuts. According to independent layoffs tracker, there have been 60,000 job cuts across 254 companies so far this year. These layoffs have not only affected large corporations but also smaller startups, some of which have even had to shut down completely.

The impact of these layoffs goes beyond the immediate job losses. It provides insights into the ongoing transformation in the tech industry and the increasing adoption of AI and automation. Companies are embracing these technologies, even for roles that were previously considered safe. As a result, many workers find themselves at risk of being replaced by machines. This raises concerns about the potential human impact of such job cuts and the implications for innovation.

# Calculated molecules from another source follow
____________
No. 1
Entry from OMol25: one molecule with the formula C22H27N3O5 in a non-equilibrium geometry (wB97M-V/def2-TZVPD).

Geometry as ORCA input:
```
! wB97M-V def2-TZVPD RIJCOSX def2/J DEFGRID3
* xyz 0 1
C -2.3216 3.7039 -4.1945
C -1.3737 2.9460 -5.1176
O -1.2125 1.5914 -4.7163
C -0.6310 1.3434 -3.5032
C -1.3311 0.5183 -2.6335
C -0.7697 0.1629 -1.4162
C -1.4603 -0.6949 -0.4851
N -1.0398 -1.0403 0.6995
C -2.0388 -1.8357 1.1702
C -2.0358 -2.4744 2.4667
C -3.0085 -3.4150 2.7890
C -2.9934 -4.0241 4.0297
C -1.9920 -3.6769 4.9295
C -1.9033 -4.3039 6.2851
N -1.0637 -2.7758 4.6341
C -1.0687 -2.1787 3.4522
O -0.1460 -1.2515 3.1926
C 0.8164 -0.9806 4.2014
C 1.9029 -2.0469 4.2576
N -3.0228 -1.9710 0.3094
O -2.6582 -1.2318 -0.7706
C 0.4771 0.6593 -1.0432
C 1.1849 1.4922 -1.8928
O 2.4055 2.0236 -1.5946
C 3.0033 1.7603 -0.3385
C 2.4062 2.5944 0.7901
C 0.6486 1.8142 -3.1599
O 1.2890 2.6088 -4.0731
C 2.6541 2.3567 -4.3758
C 2.8885 0.9272 -4.8474
H -1.8969 3.7733 -3.1950
H -2.4838 4.7072 -4.5783
H -3.2777 3.1894 -4.1308
H -1.7949 2.8739 -6.1234
H -0.4074 3.4555 -5.1657
H -2.3001 0.1494 -2.9276
H -3.7604 -3.6513 2.0522
H -3.7368 -4.7580 4.2982
H -1.0648 -3.8820 6.8309
H -1.7674 -5.3802 6.1931
H -2.8216 -4.1274 6.8422
H 1.2392 -0.0120 3.9224
H 0.3162 -0.9024 5.1722
H 1.4702 -2.9960 4.5618
H 2.6650 -1.7573 4.9757
H 2.3610 -2.1647 3.2787
H 0.8511 0.3693 -0.0765
H 4.0527 2.0347 -0.4838
H 2.9550 0.6906 -0.1047
H 1.3636 2.3382 0.9585
H 2.9651 2.4178 1.7051
H 2.4661 3.6504 0.5381
H 3.2913 2.5859 -3.5169
H 2.8711 3.0643 -5.1808
H 2.7047 0.2244 -4.0375
H 2.2179 0.6895 -5.6703
H 3.9161 0.8161 -5.1825
*
```

Output
* orbital gap: 0.3161 Ha
* max |F|: 0.0239 Eh/bohr
* calculated total energy: -1394.94886 a.u.
* molecular weight: 413.474 g mol⁻¹
* energy relative to the best compared isomer or geometry (same formula, charge and spin): 5.108 eV

No. 2
Entry from OMol25: one molecule with the formula C22H27N3O5S (wB97M-V/def2-TZVPD).

Geometry as ORCA input:
```
! wB97M-V def2-TZVPD RIJCOSX def2/J DEFGRID3
* xyz 0 1
O 1.9313 0.0275 -2.2762
C 1.8835 0.0061 -1.0598
C 1.3959 1.2434 -0.2965
O 0.5196 0.9969 0.7843
C -0.6792 0.4077 0.5420
C -1.1425 0.0283 -0.7163
C -2.3850 -0.5725 -0.8323
C -3.1546 -0.7952 0.2913
S -4.7918 -1.4933 0.1180
O -4.8469 -2.2771 -1.0791
O -5.1805 -2.0869 1.3625
N -5.7879 -0.1744 -0.1200
C -5.9321 0.7192 1.0053
C -7.1285 1.6353 0.7348
O -6.9626 2.3371 -0.4756
C -6.8253 1.4515 -1.5630
C -5.6183 0.5299 -1.3694
C -2.7052 -0.4215 1.5458
C -1.4696 0.1760 1.6731
N 2.2277 -1.0770 -0.3396
C 2.3999 -1.1509 1.0947
C 3.7994 -1.7523 1.3771
N 4.7149 -1.4726 0.3000
C 5.3564 -0.2422 0.2179
C 6.3517 -0.0462 -0.7464
C 7.0318 1.1508 -0.8353
C 6.7579 2.1862 0.0427
C 5.7986 1.9960 1.0199
C 5.1044 0.8034 1.1099
C 4.3281 -2.1654 -0.9157
C 2.7879 -2.2222 -1.0283
H 0.9383 1.9158 -1.0319
H 2.2627 1.7514 0.1404
H -0.5496 0.1863 -1.6022
H -2.7575 -0.8927 -1.7922
H -6.0981 0.1061 1.8904
H -5.0264 1.3323 1.1415
H -7.2226 2.3913 1.5158
H -8.0438 1.0278 0.6934
H -6.6996 2.0741 -2.4500
____________

By tracking these layoffs, it becomes evident that no company is immune to the changing landscape of the tech industry. Even well-established companies like Sonos, Cisco, and Dell have had to implement workforce reductions. Sonos, for example, cut 100 employees, representing 6% of its workforce, while Cisco eliminated thousands of jobs in multiple rounds of layoffs. Dell, on the other hand, plans to create a new sales unit focused on AI products and services, resulting in layoffs.

The layoffs also extend beyond traditional tech companies. Fintech startup Tally has shut down its operations after running out of cash, leaving its 183 employees without jobs. In the automotive industry, Kenya-based SUV manufacturer Mobius has decided to completely shut down operations due to financial struggles, citing tax hikes as a driving force behind the decision.

The impact of layoffs is not limited to specific regions. Layoffs have been reported across different countries, including the United States, Germany, and India. It is evident that companies across the globe are facing similar challenges and making difficult decisions to adapt to the changing market.

The comprehensive list of layoffs in 2024 reflects the widespread nature of the job cuts. The tech industry is experiencing a significant transformation, driven by various factors such as market conditions, financial challenges, and technological advancements. These layoffs serve as a reminder of the uncertainties and risks associated with working in the tech sector.

As the tech industry continues to evolve, it is crucial for workers to stay adaptable and develop new skills to remain competitive in the job market. Upskilling and reskilling initiatives are becoming increasingly important to ensure that workers can navigate the changing landscape and find new opportunities in emerging fields. It is also important for policymakers and industry leaders to address the potential impact of automation on employment and consider strategies to mitigate the negative consequences.

In conclusion, the wave of tech layoffs in 2024 highlights the ongoing transformation in the industry and the challenges faced by companies of all sizes. The impact of these layoffs goes beyond job losses and serves as a reminder of the changing nature of work in the tech sector. As technology continues to advance, it is crucial for workers, companies, and policymakers to adapt and find new ways to navigate the evolving landscape.